Name: Zenador Bologista

Aliases/Nicknames: N/A

Rank: N/A

Attached: records of molecules:
# 1
Computed, not measured: an isolated ion of composition C3H7ClNS and charge +1, with ωB97M-V with the def2-TZVPD basis set.

```
! RIJCOSX wB97M-V def2-TZVPD def2/J DEFGRID3
* xyz 1 1
N -1.64 -0.95 -0.12
C -0.15 -0.76 0.08
C 0.15 0.71 -0.09
S -1.00 1.85 -0.05
C 1.48 1.10 0.03
Cl 2.74 -0.24 -0.08
H -1.91 -1.60 -0.73
H -2.07 0.10 -0.37
H -1.96 -1.37 0.82
H 0.57 -1.01 0.92
H 0.30 -1.14 -0.90
H 1.75 1.93 -0.65
H 1.74 1.39 1.15
*
```

The energy relative to the best compared isomer or geometry (same formula, charge and spin) is 16.5 kcal/mol. The lowest unoccupied orbital energy comes out at -5.032 eV.

=====

# 2
Computed, not measured: C3H4BaLiO3 as an isolated structure, with ωB97M-V with the def2-TZVPD basis set.

```
! RIJCOSX wB97M-V def2-TZVPD def2/J DEFGRID3
* xyz 2 2
C -2.94 0.07 -1.10
C -2.36 -0.87 -0.19
H -2.94 -0.43 -2.11
H -3.97 -0.21 -0.72
H -2.83 -0.77 0.81
O -0.31 0.74 0.99
C 0.76 0.09 0.75
O 0.84 -0.99 0.16
O 1.88 0.61 1.13
Ba -0.87 2.93 2.02
Li -0.62 -2.05 -0.45
H -2.81 1.15 -1.00
*
```

As for the expectation value of S²: 0.756. The energy relative to the best compared isomer or geometry (same formula, charge and spin) is 71.6 kcal/mol. The lowest unoccupied orbital energy (spin up / spin down) comes out at -8.572 / -9.511 eV.

=====

# 3
Computed, not measured: a 4-piece molecular cluster, C14H41BN2O6P2 overall, with ωB97M-V with the def2-TZVPD basis set.

```
! RIJCOSX wB97M-V def2-TZVPD def2/J DEFGRID3
* xyz 0 1
N 0.34 -4.54 0.10
C 1.34 -3.69 -0.65
C 0.91 -3.26 -2.17
C 0.26 -1.76 -2.31
B -0.87 -1.37 -1.18
C -2.01 -2.39 -0.55
C -3.53 -1.78 -0.57
N -4.04 -1.44 -1.97
P -0.94 0.46 -0.51
P 1.04 1.36 -0.42
O 1.55 1.65 -1.89
O 2.09 0.28 0.47
O 0.88 2.85 0.53
H 0.19 -4.23 1.08
H 0.51 -5.56 0.01
H 1.66 -2.75 0.00
H 2.35 -4.33 -0.76
H 1.92 -3.25 -2.81
H 0.22 -4.05 -2.72
H -0.30 -1.74 -3.37
H 1.05 -0.89 -2.36
H -1.72 -2.52 0.60
H -2.00 -3.46 -1.02
H -3.62 -0.82 0.10
H -4.24 -2.59 -0.08
H -4.97 -1.93 -2.02
H -3.41 -1.89 -2.70
H -1.37 0.29 0.89
H 1.52 -0.54 0.69
H 1.60 3.49 0.22
C -4.50 5.32 -0.73
C -3.46 4.56 0.08
C -2.06 4.74 -0.50
O -3.79 3.17 0.08
H -4.53 4.96 -1.77
H -5.50 5.17 -0.31
H -4.28 6.39 -0.74
H -3.47 4.90 1.12
H -2.01 4.36 -1.53
H -1.33 4.18 0.08
H -1.77 5.80 -0.51
H -3.78 2.86 -0.84
C 1.72 7.82 2.35
C 0.23 7.54 2.22
C -0.17 6.30 3.01
O -0.09 7.35 0.85
H 2.31 6.99 1.96
H 1.99 8.71 1.77
H 2.00 7.99 3.40
H -0.34 8.40 2.58
H 0.36 5.41 2.63
H -1.24 6.10 2.89
H 0.06 6.42 4.07
H 0.41 6.59 0.52
C 3.38 -8.83 0.36
C 3.62 -7.45 -0.23
C 5.00 -6.92 0.12
O 2.63 -6.54 0.27
H 3.44 -8.80 1.46
H 2.38 -9.19 0.11
H 4.11 -9.55 -0.01
H 3.51 -7.49 -1.32
H 5.12 -6.83 1.21
H 5.15 -5.92 -0.30
H 5.78 -7.59 -0.26
H 2.72 -6.50 1.23
*
```

The lowest unoccupied orbital energy comes out at 0.005 eV.

=====

# 4
Computed, not measured: a 2-piece molecular cluster, C6H7N3O4S overall, with ωB97M-V with the def2-TZVPD basis set.

```
! RIJCOSX wB97M-V def2-TZVPD def2/J DEFGRID3
* xyz 0 1
C 1.43 0.03 2.13
C 2.17 0.39 1.06
C 0.06 0.35 2.17
C 1.53 0.83 -0.16
End of the records of molecules:

Physical Description: Zenador is a short, thin, vaguely Oriental Arrancar who wears loose white robes tied with a black rope around his waist. His hair is dark blue and tied back in a ponytail that falls to the middle of his back, and his Fu-Manchu-esque mustache is a slightly lighter shade. His eyes are pure white, with no visible pupils or irises.

~~~
The following is a quantum chemistry calculation of a 24-piece molecular cluster, C48H144O48 overall, from the Open Molecules 2025 dataset.

The calculation puts the LUMO energy at -0.0132 Ha. The energy above the lowest of the compared OMol25 structures with the same formula, charge and spin is 370.1 kJ/mol. For the orbital gap, the calculation gives 8.90 eV. As for the total charge: 0.

```
240
Properties=species:S:1:pos:R:3:forces:R:3:mulliken_charge:R:1
C 23.48786 -27.60712 -10.49428 -0.773 -0.721 0.817 0.34
C 24.68774 -27.80760 -11.43113 -1.388 -0.003 0.391 -0.45
O 25.23466 -29.12784 -11.34049 0.180 0.634 0.404 0.06
O 22.53937 -28.71996 -10.75500 1.934 1.105 -0.476 1.13
H 22.99533 -26.63730 -10.56475 -0.042 0.148 -1.017 0.08
H 23.68087 -27.55286 -9.42287 0.626 -0.687 0.190 -0.23
H 25.47569 -27.08029 -11.23552 -0.052 -0.080 -0.088 0.61
H 24.22146 -27.64693 -12.40317 0.576 0.001 -0.523 -0.31
H 24.48205 -29.71887 -11.26397 -0.409 -0.408 0.023 -0.15
H 21.81740 -28.65187 -10.12594 -0.482 -0.029 0.237 -0.27
C 18.13166 -20.27741 -15.63800 0.245 0.177 0.188 -0.41
C 19.07476 -19.39617 -14.92287 -0.622 0.746 1.662 -0.61
O 19.37609 -19.90766 -13.58666 0.321 0.666 -1.681 -0.49
O 18.92298 -21.41322 -15.91976 -0.335 -0.309 -0.669 -0.27
H 17.81615 -19.68263 -16.49519 -0.144 -0.471 -0.606 0.35
H 17.25020 -20.55917 -15.06203 -0.057 0.134 0.229 0.28
H 18.66276 -18.39585 -14.78974 -0.052 0.160 -0.212 0.45
H 19.97533 -19.33780 -15.53415 0.121 0.054 0.050 0.24
H 20.31809 -19.72898 -13.63466 0.335 -0.540 1.162 0.30
H 18.32835 -22.11356 -16.19822 -0.261 -0.511 -0.378 0.08
C 20.50107 -24.11821 -10.89549 -0.363 -0.681 -0.278 -0.15
C 18.96539 -24.11145 -10.76657 1.294 -0.688 -1.020 -0.83
O 18.47647 -25.39848 -11.26065 0.639 1.104 0.443 0.64
O 21.07374 -25.12304 -10.07535 0.194 0.168 0.778 -0.18
H 20.94899 -23.15999 -10.63229 -0.195 0.010 0.096 0.59
H 20.82154 -24.38006 -11.90387 -0.400 0.465 -0.427 -0.10
H 18.59586 -23.32013 -11.41877 -0.245 0.226 0.253 0.46
H 18.73916 -23.96613 -9.71026 -0.371 0.045 -0.011 0.28
H 17.60375 -25.48195 -10.86952 -0.349 -0.234 0.250 -0.31
H 20.46268 -25.86313 -10.05389 -0.061 -0.323 -0.140 -0.39
C 27.22217 -29.30004 -15.02467 -0.039 -0.642 -0.568 -0.61
C 27.77707 -29.11169 -13.62758 0.257 0.931 -2.273 -0.41
O 27.48001 -30.21490 -12.86190 0.061 -0.480 0.900 -0.50
O 25.82734 -29.37250 -15.01188 -0.776 -1.338 -0.048 -0.39
H 27.55468 -30.26378 -15.41033 0.141 -0.138 0.017 0.44
H 27.53562 -28.56344 -15.76445 0.359 0.441 0.210 0.30
H 27.33486 -28.15604 -13.34604 0.097 0.060 0.961 0.10
H 28.85159 -28.99699 -13.77027 0.248 0.071 0.493 0.44
H 26.73261 -29.98548 -12.30481 -0.372 0.063 0.217 0.25
H 25.40707 -28.51765 -14.89265 0.056 0.763 0.148 0.05
C 15.31317 -28.15529 -14.31895 -1.391 -0.608 1.383 -0.76
C 15.53882 -28.76980 -12.92400 -0.894 0.646 0.220 0.24
O 15.59584 -30.22056 -12.88009 0.547 1.087 -0.193 -0.45
O 16.30723 -28.47330 -15.16414 2.154 -0.246 -1.955 0.15
H 15.22538 -27.07075 -14.38340 -0.159 0.168 0.875 0.45
~~~

Zanpaktou's Spirit and Name: Curador MetrĂ³poli

Sealed Form:Zenador's Zanpakuto exists as a giant surgical scalpel when sealed. he wields it as if it were a Naginata.

Resurreccion: [X] Zenador's Naginata vanishes and his hair grows to cover his entire skin, making him look like nothing so much as a giant fluffball. His eyes and mouth are visible through the 'fur,' and his arms and legs (which shrink and grow, respectively, so that they're able to poke out through the 'fur') are visible, but only barely. Each strand of bright blue 'fur' is in fact a short length of unknown yet unbreakable material that splits into two half-sized copies, and so on and so forth down to the subatomic scale, with each branch of each 'strand' ending in a micromanipulator capable of grasping electrons. He is able to break down any physical object into its component atoms and reassemble them as he wishes.

Special Accessories: N/A

Skills: Assassin, Strategist, Medic

Abilities: Superhuman Intellect - Zenador has an IQ of 400, roughly two to three times that of an average human.
Arthritic - Zenador appears to be an old man when his Resurreccion is sealed, and he is in fact just that: An old man, with arthritis and hemorrhoids.
Bad Eyes - As stated above, Zenador is very old, and effectively half-blind without his glasses.

Personality: Zenador is very much a loner, and prefers not to encounter other living beings. However, he has a rather nasty sense of humor and gets a kick out of turning anything living that he encounters into some sort of artistic sculpture using his Resurreccion.

Biography/History: Zenador Bologista was the first Arrancar, a being who came into existence well before the Hyogoku or Sosuke Aizen. His Resurreccion was as powerful as he had been while still a Hollow, and as such he elected to move away from other Hollows, since his 'strands' could easily kill everyone around him. In the decades since, he has developed a taste for doing just this. He still prefers not to have contact with other sentients, but the recent addition of a giant hand flipping the bird to Las Noches on the horizon has captured his attention. He may well pay them a visit soon.